Brief:
What is needed: restate only the lines further down with the word "PaZnRu2" in them.

Source:
Density functional theory data (PBE-GGA) for crystalline YPaRu2 at its relaxed geometry.

Lattice parameters (Å, degrees): 4.848 4.848 4.848 60.00 60.00 60.00
Fractional positions:
Y (0.000, 0.000, 0.000)
Pa (0.500, 0.500, 0.500)
Ru (0.250, 0.250, 0.250)
Ru (0.750, 0.750, 0.750)

Output
E_form: -0.384 eV per atom
crystal system: cubic
energy: -9.0161 eV/atom
calculated volume: 81 Å³/cell

***

Density functional theory data (PBE-GGA) for crystalline PaZnRu2 at its relaxed geometry.

Lattice parameters (Å, degrees): 4.591 4.591 4.591 60.00 60.00 60.00
Fractional positions:
Pa (0.500, 0.500, 0.500)
Zn (0.000, 0.000, 0.000)
Ru (0.250, 0.250, 0.250)
Ru (0.750, 0.750, 0.750)

Output
E_form: -0.391 eV per atom
crystal system: cubic
energy: -7.7214 eV/atom
calculated volume: 68 Å³/cell

***

Density functional theory data (PBE-GGA) for crystalline PaSb2 at its relaxed geometry.

Lattice parameters (Å, degrees): 4.334 4.334 8.754 90.00 90.00 90.00
Fractional positions:
Pa (0.000, 0.500, 0.721)
Pa (0.500, 0.000, 0.279)
Sb (0.000, 0.500, 0.360)
Sb (0.500, 0.000, 0.640)
Sb (0.000, 0.000, 0.000)
Sb (0.500, 0.500, 0.000)

Output
E_form: -0.647 eV per atom
crystal system: tetragonal
energy: -6.4434 eV/atom
calculated volume: 164 Å³/cell

***

Density functional theory data (PBE-GGA) for crystalline Pa3Sb4 at its relaxed geometry.

Lattice parameters (Å, degrees): 7.943 7.943 7.943 109.47 109.47 109.47
Fractional positions:
Pa (0.250, 0.125, 0.875)
Pa (0.125, 0.875, 0.250)
Pa (0.750, 0.375, 0.625)
Pa (0.875, 0.250, 0.125)
Pa (0.625, 0.750, 0.375)
Pa (0.375, 0.625, 0.750)
Sb (0.500, 0.000, 0.659)
Sb (0.000, 0.659, 0.500)
Sb (0.659, 0.500, 0.000)
Sb (0.000, 0.159, 0.500)
Sb (0.841, 0.841, 0.841)
Sb (0.341, 0.341, 0.341)
Sb (0.159, 0.500, 0.000)
Sb (0.500, 0.000, 0.159)

Output
E_form: -0.632 eV per atom
crystal system: cubic
energy: -6.9590 eV/atom
calculated volume: 386 Å³/cell

~~~~~

Entry 1:
The following is a GGA+U calculation of crystalline Cr4OF11 at its relaxed geometry, from Materials Project. Values from VASP.

Computed properties:
Maximum piezoelectric response (C/m²): 0.13
SG: P1 (1)
E_tot (eV per atom): -6.057
Corrected total energy (MP2020 scheme) (eV/atom): -6.9172
Formation energy from the elements (eV/atom): -2.878

Structure (Quantum ESPRESSO input):
```
&SYSTEM
  ibrav = 0, nat = 16, ntyp = 3
/
ATOMIC_SPECIES
F 19.00 F.upf
Cr 52.00 Cr.upf
O 16.00 O.upf
CELL_PARAMETERS angstrom
2.478 -0.453 4.408
5.866 3.454 -2.936
-2.200 4.515 1.789
ATOMIC_POSITIONS crystal
F 0.618 0.749 0.498
Cr 0.499 0.499 0.500
F 0.312 0.562 0.812
F 0.810 0.441 0.690
F 0.692 0.057 0.807
F 0.879 0.749 0.000
F 0.307 0.940 0.190
F 0.190 0.558 0.309
F 0.688 0.436 0.189
O 0.808 0.060 0.308
Cr 0.989 0.001 0.012
F 0.116 0.249 0.999
F 0.198 0.948 0.697
Cr 0.512 0.001 0.489
Cr 0.000 0.499 0.000
F 0.383 0.249 0.501
```

Entry 2:
The following is a GGA+U calculation of crystalline CrPO4F at its relaxed geometry, from Materials Project. Values from VASP.

Computed properties:
SG: Pna2_1 (33)
E_tot (eV per atom): -6.973
Corrected total energy (MP2020 scheme) (eV/atom): -7.7172
Formation energy from the elements (eV/atom): -2.464

Structure (Quantum ESPRESSO input):
```
&SYSTEM
  ibrav = 0, nat = 56, ntyp = 4
/
ATOMIC_SPECIES
Cr 52.00 Cr.upf
F 19.00 F.upf
O 16.00 O.upf
P 30.97 P.upf
CELL_PARAMETERS angstrom
6.241 0.000 0.000
0.000 10.551 0.000
0.000 0.000 12.628
ATOMIC_POSITIONS crystal
Cr 0.004 0.747 0.110
F 0.974 0.625 0.226
Cr 0.504 0.247 0.390
O 0.477 0.877 0.508
P 0.166 0.997 0.998
O 0.693 0.482 0.101
F 0.970 0.374 0.778
F 0.026 0.125 0.774
F 0.474 0.125 0.274
O 0.307 0.982 0.899
O 0.196 0.272 0.388
P 0.666 0.497 0.502
Cr 0.252 0.999 0.248
Cr 0.996 0.247 0.890
O 0.193 0.982 0.399
Cr 0.496 0.747 0.610
P 0.997 0.748 0.685
P 0.834 0.497 0.002
F 0.030 0.874 0.222
O 0.012 0.112 0.989
O 0.308 0.017 0.097
O 0.304 0.272 0.888
F 0.530 0.374 0.278
O 0.457 0.133 0.741
P 0.003 0.248 0.315
Cr 0.748 0.499 0.752
O 0.691 0.220 0.887
P 0.334 0.997 0.498
O 0.023 0.877 0.008

Outcome:
Density functional theory data (PBE-GGA) for crystalline PaZnRu2 at its relaxed geometry.